Tuesday, March 24, 2009

These records of crystals were left in the article by mistake:
/*
Starting from a PBE-relaxed structure, the powder diffractogram of NaYF4 was computed for copper Kα.
No peak broadening, texture or thermal motion is included.

Atomic structure:
Unit cell a=6.0764 b=6.0764 c=7.0760 alpha=90.00 beta=90.00 gamma=120.00
Space group P-6 (No. 174)
Symmetry-distinct sites (fractional):
Na (0.0000, 0.0000, 0.0000) [1 per cell]
Na (0.6667, 0.3333, 0.2208) [2 per cell]
Y (0.0000, 0.0000, 0.5000) [1 per cell]
Y (0.3333, 0.6667, 0.2466) [2 per cell]
F (0.0516, 0.4430, 0.0000) [3 per cell]
F (0.0588, 0.4218, 0.5000) [3 per cell]
F (0.2676, 0.2600, 0.2645) [6 per cell]

Largest 10 diffraction maxima, in order of rising 2θ, 5 to 70 degrees two-theta:
hkl 1 0 0, 2θ 16.85, d = 5.262 Å, intensity 90
hkl 1 0 1, 2θ 21.04, d = 4.223 Å, intensity 35
hkl 1 1 0, 2θ 29.40, d = 3.038 Å, intensity 77
hkl 1 0 2, 2θ 30.44, d = 2.936 Å, intensity 78
hkl 1 1 2, 2θ 39.08, d = 2.305 Å, intensity 39
hkl 2 0 2, 2θ 42.83, d = 2.111 Å, intensity 100
hkl 0 0 4, 2θ 51.67, d = 1.769 Å, intensity 23
hkl 3 0 0, 2θ 52.14, d = 1.754 Å, intensity 43
hkl 1 2 2, 2θ 52.80, d = 1.734 Å, intensity 77
hkl 1 1 4, 2θ 60.57, d = 1.529 Å, intensity 19

----------

[1]
Diffraction record for InAs. The powder diffraction line list is simulated, not measured: it uses DFT lattice parameters and positions (GGA-PBE) and Cu Kα (λ = 1.5418 Å).

Unit cell a=7.5516 b=7.5516 c=7.5516 alpha=90.00 beta=90.00 gamma=90.00
Element x y z (fractional)
In: 0.1612 0.1612 0.1612
In: 0.1612 0.3388 0.6612
In: 0.3388 0.6612 0.1612
In: 0.3388 0.8388 0.6612
In: 0.6612 0.1612 0.3388
In: 0.6612 0.3388 0.8388
In: 0.8388 0.6612 0.3388
In: 0.8388 0.8388 0.8388
As: 0.1361 0.6361 0.8639
As: 0.1361 0.8639 0.3639
As: 0.3639 0.1361 0.8639
As: 0.3639 0.3639 0.3639
As: 0.6361 0.6361 0.6361
As: 0.6361 0.8639 0.1361
As: 0.8639 0.1361 0.6361
As: 0.8639 0.3639 0.1361

Peak list (10 most intense, 2θ from 15° to 90°, low angle first)
two_theta	I/Imax
23.56	22
26.39	8
28.96	100
35.67	8
44.91	81
48.20	18
51.33	7
62.74	12
67.99	11
78.00	21


[2]
Diffraction record for InAs2. The powder diffraction line list is simulated, not measured: it uses DFT lattice parameters and positions (GGA-PBE) and Cu Kα (λ = 1.5418 Å).

Unit cell a=6.6878 b=6.6878 c=5.8766 alpha=92.10 beta=92.10 gamma=32.90
Element x y z (fractional)
In: 0.1715 0.1715 0.2442
In: 0.8285 0.8285 0.7558
As: 0.1484 0.1484 0.7529
As: 0.4908 0.4908 0.2826
As: 0.5092 0.5092 0.7174
As: 0.8516 0.8516 0.2471

Peak list (10 most intense, 2θ from 15° to 90°, low angle first)
two_theta	I/Imax
30.44	55
31.57	100
42.30	19
43.83	36
45.01	37
48.04	16
54.02	12
57.95	18
65.91	11
73.41	14


[3]
Diffraction record for In7As. The powder diffraction line list is simulated, not measured: it uses DFT lattice parameters and positions (GGA-PBE) and Cu Kα (λ = 1.5418 Å).

Unit cell a=6.6837 b=6.6837 c=6.6837 alpha=60.00 beta=60.00 gamma=60.00
Element x y z (fractional)
In: 0.0000 0.0000 0.0000
In: 0.0000 0.0000 0.5000
In: 0.0000 0.5000 0.0000
In: 0.0000 0.5000 0.5000
*/

At Least Some Rich NYers Realize They Need To Be Taxed More

Dysfunction in Albany is at an all-time high, with dissension growing in the ranks along with a weak-kneed governor coupled with the capitol's byzantine system of keeping citizens in the dark about what is going on. The budget is far from getting done and April 1st is approaching fast. So that is why we are pushing so hard to get a fair share tax on the books that makes the state income tax based on a progressive pay scale and not just a simple 6.85% for those that make more than $25,000.

Now Bloomberg, as the richest New Yorker out there, has taken it upon himself to defend his wealthy class. However, he is only one of an elite class in this state that is made up of tens of thousands, and many of them have a different idea about taxation than Mayor Bloomberg.

From The Times-Union:

ALBANY — Although "please tax me more" is a sentiment that's rarely heard — especially in this state — more than 80 well-to-do New Yorkers are asking political leaders to boost the state income tax on the wealthy.[...]

The letter was organized by a consortium of groups, including Responsible Wealth, New Yorkers for Fiscal Fairness and the Fiscal Policy Institute.

The signatories include New York residents as well as those who live outside New York but pay in-state income tax.

Bloomberg would ask these people, why do you not love yourself? Well, it seems at least for these eighty signatories, they see life through a less myopic lens:

Released as the Legislature is weighing a range of proposals to do just that, a new open letter to Gov. David Paterson and legislators asks that any budget cuts to programs affecting education, health care and the poor be ameliorated by "an increase in income taxes on those who can afford it — which means us."[...]

"I've been pretty lucky, and I've always felt that a disproportionate share of the tax burden falls on lower-income people," said Chet Opalka of Averill Park, who put his name on the letter.

The well-known philanthropist and founder of Albany Molecular Research said that government tends to "cut in all the wrong places" — from the arts to education — and that he's equally committed to tightening up government spending.

So Governor Paterson, Majority Leader Smith, stop listening to Michael Bloomberg and similarily-sounding lobbyists that circle the capitol and realize there is more to budgeting than sparing the rich. If these wealthy signatories can see the problem in not encouraging the growth of the bottom 95% of society, then so should you.